Training soft skills: How to improve your social skills

Soft skills are becoming more and more important for success at work. Learned specialist knowledge and methodological competence are only half the battle. Because if your attitude and relationship with yourself and others are not right, you will not advance your 1.0 degree and all of your knowledge alone. HR managers complain about a lack of soft skills among applicants and candidates underestimate the importance of the hiring process, as this study shows. With the increasing change in the world of work towards more project work, interdisciplinary, agile, or even virtual teams, and more individual responsibility, the importance of social skills will continue to increase. Soft skills can be trained. Not overnight in a weekend seminar, but through awareness, mindfulness and attention, observation, and self-reflection. The great thing about it: You can train it anytime, anywhere. In private life as well as at work. Regardless of whether you are a schoolchild, student, young professional, or old hand, you can work on your soft skills every day on the side, but in a targeted manner:Soft skills что это? Примеры софт скиллс и зачем они нужны.

Training soft skills: 6 exercises for more social competence

Any form of exercise is effective if you focus. Therefore, I present a weekly plan with which you can train and develop a different social competence every day.

Perhaps you will have to leave your usual comfort zone for this workout. Dare to go out step by step as far as you want and believe that it is good for you. Training shouldn’t be torture! Be curious whether and what will change.

You will likely find yourself in a situation where you will fall back into old habits. If you really get into the exercise of the day, you will quickly recognize these situations. Try doing something different than usual to actively train new behavior. Perhaps those around you will shake heads and reap amazement. This is normal, as your behavior is unfamiliar to others.

Monday: Active listening

Today you are listening carefully to what others have to say. Concentrate on consciously taking in everything that he/she says when talking to the boss, colleague, or partner. During this time, press the pause button for your own movie in your head. Do you really care! (Only if you are really interested, of course.) Take note of as much information from your counterpart as possible. Pay attention not only to the content but also to language, posture, gestures, and facial expressions.

My tip: Imagine you have to repeat what the other person said at the beginning of your answer before making your statement. Just introduce yourself, otherwise, the conversation will be stiff and silly. When it is your turn, say what is important to you in response. Active listening is exhausting. But you will be surprised how much communication benefits from it because there are no misunderstandings and you simply “understand” each other better.

Tuesday: Appreciation

No, today you shouldn’t praise everything and everyone. That would not be authentic! Rather, be careful not only to look for problems and criticize mistakes but also successes and see what works well. Acknowledge it in yourself and speak it out to others. Appreciate your achievements and the achievements of others, even if they may not be anything special for you at first are. Your appreciation and praise should be meant to be authentic and genuine.

Find out for yourself today what appreciation and recognition mean for you in your various roles in your professional and private life. In which situations or with which people do you find it easy/difficult to be appreciative and why is that? On the other hand: Who would you like to have more appreciation from yourself and what can you contribute to this yourself? What changes in your relationship with yourself and with others on your Appreciation Tuesday?

Wednesday: empathy

Any behavior makes sense in any context. If a colleague or employee annoys you again, put yourself in his / her position and ask yourself: Why is it important to him/her to behave like this and not differently? What is going on in the head of the other? Don’t rush to judge or judge behavior because you would do something differently or think you know better. Try to understand the behavior of others in their context.

Next to the piece, the page also holds materials data:
/*
DFT (PBE) results for CsB9O13 after structural relaxation.

Properties
The value obtained for the calculated volume is 1135.6 Å³/cell. The value obtained for the total energy is -709.59 eV for the cell shown. The theoretical density comes out at 2.6 g/cm³. The formation energy comes out at -255.9 kJ/mol of atoms.

abc: 9.3688 9.3688 12.9373
angles: 90.00 90.00 90.00
With the nearest neighbours (Å) after each atom.
Fractional positions:
Cs 0.0000 0.4283 0.0000  2 O 2.97
Cs 0.0000 0.5717 0.5000  2 O 2.97
Cs 0.4283 0.0000 0.7500  2 O 2.97
Cs 0.5717 0.0000 0.2500  2 O 2.97
B 0.0152 0.1506 0.8118  3 O 1.36-1.38
B 0.0152 0.8494 0.6882  3 O 1.36-1.38
B 0.1118 0.3305 0.7009  3 O 1.34-1.40
B 0.1118 0.6695 0.7991  3 O 1.34-1.40
B 0.1485 0.3066 0.2775  3 O 1.32-1.41
B 0.1485 0.6934 0.2225  3 O 1.32-1.41
B 0.1506 0.0152 0.9382  3 O 1.36-1.38
B 0.1506 0.9848 0.5618  3 O 1.36-1.38
B 0.3066 0.1485 0.4725  3 O 1.32-1.41
B 0.3066 0.8515 0.0275  3 O 1.32-1.41
B 0.3305 0.1118 0.0491  3 O 1.34-1.40
B 0.3305 0.8882 0.4509  3 O 1.34-1.40
B 0.3650 0.4342 0.7019  2 O 1.33-1.43
B 0.3650 0.5658 0.7981  2 O 1.33-1.43
B 0.3806 0.3806 0.3750  4 O 1.46-1.48
B 0.3806 0.6194 0.1250  4 O 1.46-1.48
B 0.4342 0.3650 0.0481  2 O 1.33-1.43
B 0.4342 0.6350 0.4519  2 O 1.33-1.43
B 0.5658 0.3650 0.9519  2 O 1.33-1.43
B 0.5658 0.6350 0.5481  2 O 1.33-1.43
B 0.6194 0.3806 0.6250  4 O 1.46-1.48
B 0.6194 0.6194 0.8750  4 O 1.46-1.48
B 0.6350 0.4342 0.2981  2 O 1.33-1.43
B 0.6350 0.5658 0.2019  2 O 1.33-1.43
B 0.6695 0.1118 0.9509  3 O 1.34-1.40
B 0.6695 0.8882 0.5491  3 O 1.34-1.40
B 0.6934 0.1485 0.5275  3 O 1.32-1.41
B 0.6934 0.8515 0.9725  3 O 1.32-1.41
B 0.8494 0.0152 0.0618  3 O 1.36-1.38
B 0.8494 0.9848 0.4382  3 O 1.36-1.38
B 0.8515 0.3066 0.7225  3 O 1.32-1.41
B 0.8515 0.6934 0.7775  3 O 1.32-1.41
B 0.8882 0.3305 0.2991  3 O 1.34-1.40
B 0.8882 0.6695 0.2009  3 O 1.34-1.40
B 0.9848 0.1506 0.1882  3 O 1.36-1.38
B 0.9848 0.8494 0.3118  3 O 1.36-1.38
O 0.0278 0.3664 0.3267  2 B 1.40-1.41
O 0.0278 0.6336 0.1733  2 B 1.40-1.41
O 0.0341 0.0341 0.8750  2 B 1.37
O 0.0341 0.9659 0.6250  2 B 1.37
O 0.1204 0.1968 0.2055  2 B 1.36-1.41
O 0.1204 0.8032 0.2945  2 B 1.36-1.41
O 0.1332 0.2183 0.7708  2 B 1.38-1.40
O 0.1332 0.7817 0.7292  2 B 1.38-1.40
O 0.1968 0.1204 0.5445  2 B 1.36-1.41
O 0.1968 0.8796 0.9555  2 B 1.36-1.41
O 0.2183 0.1332 0.9792  2 B 1.38-1.40
O 0.2183 0.8668 0.5208  2 B 1.38-1.40
O 0.2232 0.4064 0.6659  2 B 1.34-1.43
O 0.2232 0.5936 0.8341  2 B 1.34-1.43
O 0.2824 0.3446 0.2910  2 B 1.32-1.46
O 0.2824 0.6554 0.2090  2 B 1.32-1.46
O 0.3446 0.2824 0.4590  2 B 1.32-1.46
O 0.3446 0.7176 0.0410  2 B 1.32-1.46
O 0.3597 0.4702 0.0916  2 B 1.33-1.48
O 0.3597 0.5298 0.4084  2 B 1.33-1.48
O 0.3664 0.0278 0.4233  2 B 1.40-1.41
O 0.3664 0.9722 0.0767  2 B 1.40-1.41
O 0.4064 0.2232 0.0841  2 B 1.34-1.43
O 0.4064 0.7768 0.4159  2 B 1.34-1.43
O 0.4702 0.3597 0.6584  2 B 1.33-1.48
O 0.4702 0.6403 0.8416  2 B 1.33-1.48
O 0.5298 0.3597 0.3416  2 B 1.33-1.48
O 0.5298 0.6403 0.1584  2 B 1.33-1.48
*/
End of the materials data:

Many people mistake empathy for pity. But compassion and compassion make a difference. Put on your counterpart’s glasses and try to see the subject in the room through their perspective. Get to know the people around you with their values ​​and points of view: What is important to them and why? For the executives among you: How do your employees feel? How do the employees perceive themselves and how do you perceive them? What do your employees need from you to do a good job?

It’s not about analyzing and understanding every other behavior. Then you would be very busy and only read minds. No, rather it is about your own awareness that other people can have a different view of things and that there is not always a right or wrong. Extend your emotional antennae on Wednesdays and be particularly aware of interpersonal relationships.

-- Between two parts of the page: crystal structures --
┌──
(1)
{
  "formula": "Zn6B5Ir11",
  "functional": "r2SCAN",
  "state": "relaxed",
  "lattice": [[2.8756, 0.0000, 0.0000], [0.0000, 11.2989, 0.0000], [0.0000, 0.0000, 8.4636]],
  "species": ["Zn", "Zn", "Zn", "Zn", "Zn", "Zn", "B", "B", "B", "B", "B", "Ir", "Ir", "Ir", "Ir", "Ir", "Ir", "Ir", "Ir", "Ir", "Ir", "Ir"],
  "frac_coords": [[0.0000, 0.0000, 0.0000], [0.0000, 0.0000, 0.2980], [0.0000, 0.0000, 0.6417], [0.0000, 0.2999, 0.6552], [0.0000, 0.5000, 0.1263], [0.0000, 0.7001, 0.6552], [0.0000, 0.2335, 0.3252], [0.0000, 0.2433, 0.9570], [0.0000, 0.5000, 0.4613], [0.0000, 0.7567, 0.9570], [0.0000, 0.7665, 0.3252], [0.5000, 0.1417, 0.8181], [0.5000, 0.1501, 0.4748], [0.5000, 0.1814, 0.1421], [0.5000, 0.3794, 0.3443], [0.5000, 0.3805, 0.9155], [0.5000, 0.5000, 0.6405], [0.5000, 0.6195, 0.9155], [0.5000, 0.6206, 0.3443], [0.5000, 0.8186, 0.1421], [0.5000, 0.8499, 0.4748], [0.5000, 0.8583, 0.8181]],
  "m_tot_mub_per_fu": 0.000,
  "density_g_cm3": 15.46,
  "space_group": "Pmm2 (25)",
  "energy_ha_per_atom": -1.12419,
  "formation_enthalpy_0k_mev_per_atom": -311.2
}

---

(2)
{
  "formula": "CeGe2Au2",
  "functional": "r2SCAN",
  "state": "relaxed",
  "lattice": [[-2.2239, 2.2239, 5.1978], [2.2239, -2.2239, 5.1978], [2.2239, 2.2239, -5.1978]],
  "species": ["Ce", "Ge", "Ge", "Au", "Au"],
  "frac_coords": [[0.0000, 0.0000, 0.0000], [0.3825, 0.3825, 0.0000], [0.6175, 0.6175, 0.0000], [0.2500, 0.7500, 0.5000], [0.7500, 0.2500, 0.5000]],
  "m_tot_mub_per_fu": 1.059,
  "density_g_cm3": 10.97,
  "space_group": "I4/mmm (139)",
  "energy_ha_per_atom": -1.19514,
  "formation_enthalpy_0k_mev_per_atom": -570.5
}

---

(3)
{
  "formula": "Al2IrRu",
  "functional": "r2SCAN",
  "state": "relaxed",
  "lattice": [[0.0000, 2.9842, 2.9842], [2.9842, 0.0000, 2.9842], [2.9842, 2.9842, 0.0000]],
  "species": ["Al", "Al", "Ir", "Ru"],
  "frac_coords": [[0.2500, 0.2500, 0.2500], [0.7500, 0.7500, 0.7500], [0.0000, 0.0000, 0.0000], [0.5000, 0.5000, 0.5000]],
  "m_tot_mub_per_fu": 0.000,
  "density_g_cm3": 10.85,
  "space_group": "Fm-3m (225)",
  "energy_ha_per_atom": -0.87450,
  "formation_enthalpy_0k_mev_per_atom": -984.3
}

---

(4)
{
  "formula": "YbGa4",
  "functional": "r2SCAN",
  "state": "relaxed",
  "lattice": [[3.1869, -2.7555, 0.0000], [3.1869, 2.7555, 0.0000], [-1.6414, 0.0000, 5.5058]],
  "species": ["Yb", "Ga", "Ga", "Ga", "Ga"],
  "frac_coords": [[0.0000, 0.0000, 0.0000], [0.2306, 0.7694, 0.5000], [0.3736, 0.3736, 0.7885], [0.6264, 0.6264, 0.2115], [0.7694, 0.2306, 0.5000]],
  "m_tot_mub_per_fu": 0.000,
  "density_g_cm3": 7.76,
  "space_group": "C2/m (12)",
  "energy_ha_per_atom": -0.61816,
  "formation_enthalpy_0k_mev_per_atom": -361.0
}

---

(5)
{
  "formula": "AcSnAu2",
  "functional": "r2SCAN",
  "state": "relaxed",
  "lattice": [[0.0000, 3.6954, 3.6954], [3.6954, 0.0000, 3.6954], [3.6954, 3.6954, 0.0000]],
  "species": ["Ac", "Sn", "Au", "Au"],
└──
-- Back to the page --

Thursday: Teamwork

Today it’s about being strong and successful together. Teamwork will become more and more important in the future. Teamwork doesn’t stop with your employer, it also affects your private life. How well can you get involved with other people, pursue ideas together and work on solutions? Even if you don’t have a single appointment today, you are sure to come into contact with colleagues or other people in some form. Teamwork also means carrying the older neighbors’ purchases up the stairs or helping colleagues with difficult tasks.

Pay attention today to how you can use which of your strengths for the benefit of the community. Do not wait until someone asks you for advice; offer your support (not intrusively!). If you are working in a team today or if a meeting is pending, then pay attention to which role you play in the team and which might be different in the future. Also, keep your eyes and ears open to see how others perceive you as a team member. Are you accepted and welcome to the team? If so, what exactly is it that others appreciate about you? If not, what can you do to improve teamwork yourself?

Friday: personal responsibility

Before the weekend starts, become the boss today – of your own life! Take responsibility for your actions. Today you neither put the blame in the shoes of others nor avoid things or mutate into a fellow pig. Make an active decision on what is important to you at this moment. Throughout the day, pay attention to the situations in which you would most like to give up responsibility because you are used to it and it would be so easy. Ask yourself whether it is right not to take responsibility in this situation (if so, who is actually responsible?) Or whether you should actively take it instead?

On this day you will quickly notice how often you don’t feel responsible out of habit, even though you actually are. Typical are cases where you whine, are angry at others, or resent about something. Your exercise today: If you notice these feelings, do not be a victim of the bad circumstances, but clarify for yourself what the situation has to do with you and whether or how you can take responsibility instead – to your boss Life day.

Saturday: Weekly Review

Today you reflect on your experiences of the past week. What worked well and where did you feel comfortable? What did you find difficult and what do you think was the cause? What do you plan to do for the next week, continue training, or do differently?

Crystal structures that have nothing to do with the entry:
-- begin --
A plane-wave DFT calculation with PBE was carried out for a relaxed LuCd2 crystal.

CIF file:
```
data_LuCd2
_chemical_formula_sum 'Lu1 Cd2'
_cell_length_a 4.9455
_cell_length_b 4.9455
_cell_length_c 3.3718
_cell_angle_alpha 90.00
_cell_angle_beta 90.00
_cell_angle_gamma 120.00
_symmetry_space_group_name_H-M 'P 6/m m m'
_symmetry_Int_Tables_number 191
_symmetry_space_group_name_Hall '-P 6 2'
loop_
_atom_site_label
_atom_site_type_symbol
_atom_site_fract_x
_atom_site_fract_y
_atom_site_fract_z
Lu1 Lu 0.0000 0.0000 0.0000
Cd1 Cd 0.3333 0.6667 0.5000
```

Summary:
VASP energy, eV/cell: -7.16
Energy of formation, eV per atom: -0.263

* * * * *

[1]
First-principles (PBE-GGA) data for a geometry-optimized TaPO5 structure, as listed in the Materials Project.

formation enthalpy at 0 K = -3061 meV per atom
distance to the lowest polymorph of the same formula = 0.049 eV per atom

Lattice parameters (Å, degrees): 6.515 6.515 4.050 90.00 90.00 90.00
Space group P4/nmm (No. 129, origin choice 2)
One atom of each set of equivalent atoms:
1 Ta 0.250 0.250 0.236 x2
2 P 0.250 0.750 0.500 x2
3 O 0.055 0.750 0.716 x8
4 O 0.250 0.250 0.785 x2

[2]
First-principles (PBE-GGA) data for a geometry-optimized Nd3Si4Ni29 structure, as listed in the Materials Project.

formation enthalpy at 0 K = -224 meV per atom

Lattice parameters (Å, degrees): 10.863 10.863 7.644 90.00 90.00 90.00
Space group P4/nmm (No. 129, origin choice 2)
One atom of each set of equivalent atoms:
1 Nd 0.000 0.000 0.000 x4
2 Nd 0.250 0.750 0.500 x2
3 Si 0.063 0.750 0.181 x8
4 Ni 0.021 0.250 0.519 x8
5 Ni 0.073 0.585 0.658 x16
6 Ni 0.091 0.250 0.029 x8
7 Ni 0.132 0.750 0.880 x8
8 Ni 0.134 0.134 0.751 x8
9 Ni 0.138 0.138 0.298 x8
10 Ni 0.250 0.250 0.525 x2

[3]
First-principles (PBE-GGA) data for a geometry-optimized Pr6Al3Fe11 structure, as listed in the Materials Project.

formation enthalpy at 0 K = -113 meV per atom

Lattice parameters (Å, degrees): 8.094 8.094 23.472 90.00 90.00 90.00
Space group I4cm (No. 108)
One atom of each set of equivalent atoms:
1 Pr 0.000 0.000 0.000 x4
2 Pr 0.000 0.000 0.212 x4
3 Pr 0.166 0.334 0.420 x8
4 Pr 0.168 0.332 0.797 x8
5 Al 0.000 0.000 0.356 x4
6 Al 0.119 0.381 0.199 x8
7 Fe 0.000 0.500 0.105 x4
8 Fe 0.068 0.211 0.105 x16
9 Fe 0.113 0.387 0.012 x8
10 Fe 0.176 0.324 0.661 x8
11 Fe 0.179 0.321 0.547 x8

[4]
First-principles (PBE-GGA) data for a geometry-optimized CdSnAs2 structure, as listed in the Materials Project.

formation enthalpy at 0 K = 113 meV per atom
distance to the lowest polymorph of the same formula = 0.245 eV per atom

Lattice parameters (Å, degrees): 8.251 4.416 39.896 90.00 90.62 90.00
Space group Cm (No. 8)
One atom of each set of equivalent atoms:
1 Cd 0.000 0.000 0.000 x2
2 Cd 0.001 0.000 0.753 x2
3 Cd 0.167 0.500 0.917 x2
4 Cd 0.169 0.500 0.671 x2
5 Cd 0.332 0.000 0.076 x2
6 Cd 0.333 0.000 0.835 x2
7 Sn 0.000 0.000 0.500 x2
8 Sn 0.001 0.000 0.253 x2
9 Sn 0.168 0.500 0.170 x2
10 Sn 0.168 0.500 0.418 x2
11 Sn 0.335 0.000 0.335 x2
-- stop --

Social competence includes two aspects: It is the behavior with and to yourself and also the behavior with and to others. Separate your weekly review according to this distinction:

What have you personally brought last week’s training? How have your own perception, behavior, motivation, self-discipline, self-esteem, and self-awareness changed? Is there anything that has changed and if so, was it helpful and good for you?

What has changed compared to? Your ability to criticize or deal with conflict, ability to work in a team, ability to compromise, tolerance, communication, appreciation of others. How did you experience your interaction with others and what reactions did you observe from others towards you?

Sunday: rest day

I guess you know what to do today.

You probably guessed it: a week of soft skills training is not enough. As for all competencies, the maxim of lifelong learning also applies here. If you are “in practice”, then forget your weekly plan and train what is important for you, your position, and your environment.